# Given
-- begin --
[1]
The following is a DFT calculation (GGA-PBE) of a relaxed Ba2CdMo crystal.

Calculated values
Electronic total energy ... -3.2990 eV per atom
ΔE_f ... 0.599 eV/atom
V ... 35.72 Å³ per atom
SG ... P4mm (99)

Cell: 3.8690 3.8690 9.5448 Å, 90.00 90.00 90.00°
Last column: nearest neighbours and their distance in Å.
Positions (direct):
Ba  0.0000  0.0000  0.0000  1 Cd 3.36, 4 Mo 3.59
Ba  0.5000  0.5000  0.4066  1 Mo 3.34, 4 Cd 3.58
Cd  0.0000  0.0000  0.6484  4 Mo 2.92
Mo  0.5000  0.5000  0.7565  4 Cd 2.92

---

[2]
The following is a DFT calculation (GGA-PBE) of a relaxed LiCu2Ru crystal.

Calculated values
Electronic total energy ... -4.7020 eV per atom
ΔE_f ... 0.144 eV/atom
V ... 12.81 Å³ per atom
ΔE to the lowest computed polymorph ... 0.43 eV/f.u.
SG ... Pmmm (47)

Cell: 2.4962 3.9719 5.1676 Å, 90.00 90.00 90.00°
Last column: nearest neighbours and their distance in Å.
Positions (direct):
Li  0.0000  0.0000  0.0000  2 Li 2.50, 2 Ru 2.58, 8 Cu 2.69
Cu  0.5000  0.5000  0.2543  4 Cu 2.50-2.63, 4 Ru 2.67, 4 Li 2.69
Cu  0.5000  0.5000  0.7457  4 Cu 2.50-2.63, 4 Ru 2.67, 4 Li 2.69
Ru  0.0000  0.0000  0.5000  2 Ru 2.50, 2 Li 2.58, 8 Cu 2.67

---

[3]
The following is a DFT calculation (GGA-PBE) of a relaxed Cs2PmCu2Cl6 crystal.

Calculated values
Electronic total energy ... -3.8088 eV per atom
Energy relative to the elements, uncorrected ... -1.4697 eV per atom
V ... 35.08 Å³ per atom
SG ... C2/m (12)

Cell: 8.2503 8.2503 8.6267 Å, 118.55 118.55 50.74°
Last column: nearest neighbours and their distance in Å.
Positions (direct):
Cs  0.2039  0.2039  0.2276  7 Cl 3.54-3.73, 1 Cu 3.82
Cs  0.7961  0.7961  0.7724  7 Cl 3.54-3.73, 1 Cu 3.82
Pm  0.0000  0.0000  0.5000  6 Cl 2.70-2.81
Cu  0.4905  0.4905  0.3518  2 Cl 2.22, 1 Cu 2.42
Cu  0.5095  0.5095  0.6482  2 Cl 2.22, 1 Cu 2.42
Cl  0.2015  0.7460  0.2117  1 Cu 2.22
Cl  0.2109  0.2109  0.6445  1 Pm 2.70
Cl  0.2540  0.7985  0.7883  1 Cu 2.22
Cl  0.7460  0.2015  0.2117  1 Cu 2.22
Cl  0.7891  0.7891  0.3555  1 Pm 2.70
Cl  0.7985  0.2540  0.7883  1 Cu 2.22

---

[4]
The following is a DFT calculation (GGA-PBE) of a relaxed Tb2YTm3 crystal.

Calculated values
Electronic total energy ... -4.7378 eV per atom
ΔE_f ... 0.119 eV/atom
V ... 31.69 Å³ per atom
ΔE to the lowest computed polymorph ... 0.56 eV/f.u.
SG ... C2/m (12)

Cell: 8.9714 8.9714 14.0118 Å, 116.93 116.93 22.34°
Last column: nearest neighbours and their distance in Å.
Positions (direct):
Tb  0.1580  0.1580  0.4688  5 Tm 3.37-3.67, 4 Tb 3.42-3.48, 2 Y 3.44-3.57
Tb  0.3192  0.3192  0.1161  5 Tm 3.37-3.48, 4 Tb 3.48-3.50, 2 Y 3.50
Tb  0.6808  0.6808  0.8839  5 Tm 3.37-3.48, 4 Tb 3.48-3.50, 2 Y 3.50
Tb  0.8420  0.8420  0.5312  5 Tm 3.37-3.67, 4 Tb 3.42-3.48, 2 Y 3.44-3.57
Y  0.0618  0.0618  0.6439  4 Tb 3.44-3.57, 3 Y 3.48-3.59, 4 Tm 3.65-3.71
Y  0.9382  0.9382  0.3561  4 Tb 3.44-3.57, 3 Y 3.48-3.59, 4 Tm 3.65-3.71
Tm  0.0985  0.0985  0.0253  6 Tm 3.20-3.53, 3 Tb 3.42-3.48
Tm  0.2384  0.2384  0.2919  4 Tb 3.37-3.46, 5 Tm 3.39-3.59, 2 Y 3.65
Tm  0.4601  0.4601  0.7893  8 Tm 3.48-3.65, 3 Tb 3.48-3.67, 2 Y 3.71
Tm  0.5399  0.5399  0.2107  8 Tm 3.48-3.65, 3 Tb 3.48-3.67, 2 Y 3.71
Tm  0.7616  0.7616  0.7081  4 Tb 3.37-3.46, 5 Tm 3.39-3.59, 2 Y 3.65
Tm  0.9015  0.9015  0.9747  6 Tm 3.20-3.53, 3 Tb 3.42-3.48

---

[5]
The following is a DFT calculation (GGA-PBE) of a relaxed FeP2Br crystal.

Calculated values
Electronic total energy ... -5.2051 eV per atom
Energy relative to the elements, uncorrected ... 0.0338 eV per atom
V ... 17.80 Å³ per atom
ΔE to the lowest computed polymorph ... 0.51 eV/f.u.
SG ... C2/m (12)

Cell: 6.8786 3.1683 7.2698 Å, 90.00 116.01 90.00°
Last column: nearest neighbours and their distance in Å.
Positions (direct):
Fe  0.0000  0.0000  0.0000  6 P 2.24-2.30
Fe  0.5000  0.5000  0.0000  6 P 2.24-2.30
P  0.1384  0.5000  0.8609  3 Fe 2.24-2.30, 2 P 2.50
P  0.3616  0.0000  0.1391  3 Fe 2.24-2.30, 2 P 2.50
P  0.6384  0.0000  0.8609  3 Fe 2.24-2.30, 2 P 2.50
P  0.8616  0.5000  0.1391  3 Fe 2.24-2.30, 2 P 2.50
-- stop --

# To do
Say how many lines of the data earlier on hold the word "computed", as a bare number.

# Reply
3